Source.
____________
[1]
{
  "formula": "C6H8O2",
  "method": "wB97M-V/def2-TZVPD",
  "symbols": ["C", "C", "C", "C", "C", "C", "H", "H", "H", "H", "H", "H", "H", "H", "O", "O"],
  "positions_angstrom": [[-2.456, -0.829, 0.026], [-1.292, 0.130, -0.056], [-1.181, 1.476, 0.046], [1.192, 1.411, -0.045], [1.211, 0.062, -0.044], [2.288, -0.877, 0.060], [-2.379, -0.986, 1.084], [-1.615, -2.168, -0.313], [-3.516, -0.445, -0.522], [-2.008, 2.125, 0.160], [2.027, 1.986, 0.139], [3.260, -0.397, -0.533], [2.044, -1.803, -0.573], [2.530, -1.194, 1.184], [0.026, 2.067, -0.182], [-0.132, -0.559, -0.432]],
  "mulliken_charge": [-1.091, 0.626, -0.334, -0.157, 0.268, -1.003, 0.352, 0.222, 0.255, 0.411, 0.488, 0.275, 0.272, 0.219, -0.427, -0.378],
  "e_lumo_ev": 0.779,
  "homo_lumo_gap_ev": 8.19,
  "homo_ev": -7.41,
  "energy_ha": -383.69214,
  "relative_energy_kj_mol": 572.3,
  "fmax_ev_per_a": 4.786
}


[2]
{
  "formula": "C5H8O",
  "method": "wB97M-V/def2-TZVPD",
  "symbols": ["C", "C", "C", "C", "C", "O", "H", "H", "H", "H", "H", "H", "H", "H"],
  "positions_angstrom": [[0.314, 1.292, -0.701], [0.344, 0.033, 0.129], [0.444, -1.286, -0.585], [-0.972, -1.363, -0.121], [-0.460, 0.025, 1.476], [0.937, 0.182, 1.392], [-0.098, 2.133, -0.135], [1.340, 1.547, -0.988], [-0.278, 1.155, -1.611], [1.136, -1.992, -0.124], [0.656, -1.138, -1.647], [-1.569, -0.714, -0.791], [-0.768, -0.818, 2.079], [-1.028, 0.944, 1.626]],
  "mulliken_charge": [-1.257, 1.268, -0.620, -0.597, -0.658, -0.484, 0.362, 0.316, 0.314, 0.248, 0.303, 0.183, 0.353, 0.269],
  "e_lumo_ev": 0.940,
  "homo_lumo_gap_ev": 9.10,
  "homo_ev": -8.16,
  "energy_ha": -270.36155,
  "relative_energy_kj_mol": 515.5,
  "fmax_ev_per_a": 0.492
}


[3]
{
  "formula": "C21H19N9O",
  "method": "wB97M-V/def2-TZVPD",
  "symbols": ["C", "C", "C", "C", "C", "C", "C", "C", "N", "C", "N", "N", "C", "N", "C", "C", "N", "O", "C", "C", "C", "N", "N", "C", "C", "N", "C", "N", "C", "C", "C", "H", "H", "H", "H", "H", "H", "H", "H", "H", "H", "H", "H", "H", "H", "H", "H", "H", "H", "H"],
  "positions_angstrom": [[-2.037, -2.657, 0.224], [-0.788, -2.029, 0.957], [0.284, -1.433, 0.040], [1.357, -0.769, 0.599], [2.366, -0.291, -0.214], [2.326, -0.525, -1.604], [3.387, -0.056, -2.505], [3.236, -0.112, -3.877], [4.201, 0.311, -4.676], [5.308, 0.713, -4.097], [6.267, 1.176, -4.918], [5.623, 0.710, -2.810], [4.611, 0.367, -2.032], [1.318, -1.270, -2.160], [0.290, -1.666, -1.353], [-1.277, -0.887, 1.811], [-0.886, -0.679, 3.047], [-1.567, 0.498, 3.446], [-2.339, 0.890, 2.376], [-3.069, 2.172, 2.285], [-3.323, 3.133, 3.319], [-4.034, 4.153, 2.902], [-4.297, 3.889, 1.594], [-5.244, 4.761, 0.813], [-4.832, 4.909, -0.608], [-4.543, 4.967, -1.721], [-3.636, 2.706, 1.176], [-2.229, 0.042, 1.398], [-0.324, -3.228, 1.878], [1.134, -3.400, 2.339], [0.534, -4.338, 1.313], [-2.835, -2.882, 0.900], [-2.431, -1.967, -0.517], [-1.787, -3.603, -0.297], [1.460, -0.543, 1.657], [3.188, 0.217, 0.280], [2.305, -0.479, -4.293], [5.938, 1.343, -5.845], [6.779, 1.927, -4.480], [4.799, 0.515, -0.977], [-0.398, -2.338, -1.836], [-2.953, 2.984, 4.329], [-5.263, 5.751, 1.233], [-6.257, 4.347, 0.857], [-3.541, 2.326, 0.153], [-1.080, -3.551, 2.575], [1.865, -2.695, 2.036], [1.252, -3.780, 3.356], [0.859, -4.305, 0.249], [0.281, -5.327, 1.675]],
  "mulliken_charge": [-2.216, 2.784, -0.609, -0.621, -0.932, 0.741, 0.384, -0.384, -0.617, 0.494, -0.456, -0.669, -0.207, -0.590, -0.129, -0.318, -0.447, -0.287, 0.495, -0.157, -0.350, -0.919, 0.646, -0.337, 0.217, -0.357, -0.206, -0.502, -0.507, -0.653, -0.634, 0.535, 0.477, 0.401, 0.628, 0.182, 0.496, 0.258, 0.254, 0.359, 0.511, 0.519, 0.309, 0.280, 0.445, 0.634, 0.237, 0.279, 0.225, 0.311],
  "smiles": "C[C@@](c1ccc(-c2cnc(N)nc2)nc1)(c1noc(-c2cnn(CC#N)c2)n1)C1CC1",
  "e_lumo_ev": 0.296,
  "homo_lumo_gap_ev": 8.69,
  "homo_ev": -8.39,
  "energy_ha": -1379.60948,
  "relative_energy_kj_mol": 20.6,
  "fmax_ev_per_a": 2.389
}


[4]
{
  "formula": "C10H11N",
  "method": "wB97M-V/def2-TZVPD",
____________
Assignment.
Please copy all of the data further up exactly.
Outcome.
[1]
{
  "formula": "C6H8O2",
  "method": "wB97M-V/def2-TZVPD",
  "symbols": ["C", "C", "C", "C", "C", "C", "H", "H", "H", "H", "H", "H", "H", "H", "O", "O"],
  "positions_angstrom": [[-2.456, -0.829, 0.026], [-1.292, 0.130, -0.056], [-1.181, 1.476, 0.046], [1.192, 1.411, -0.045], [1.211, 0.062, -0.044], [2.288, -0.877, 0.060], [-2.379, -0.986, 1.084], [-1.615, -2.168, -0.313], [-3.516, -0.445, -0.522], [-2.008, 2.125, 0.160], [2.027, 1.986, 0.139], [3.260, -0.397, -0.533], [2.044, -1.803, -0.573], [2.530, -1.194, 1.184], [0.026, 2.067, -0.182], [-0.132, -0.559, -0.432]],
  "mulliken_charge": [-1.091, 0.626, -0.334, -0.157, 0.268, -1.003, 0.352, 0.222, 0.255, 0.411, 0.488, 0.275, 0.272, 0.219, -0.427, -0.378],
  "e_lumo_ev": 0.779,
  "homo_lumo_gap_ev": 8.19,
  "homo_ev": -7.41,
  "energy_ha": -383.69214,
  "relative_energy_kj_mol": 572.3,
  "fmax_ev_per_a": 4.786
}


[2]
{
  "formula": "C5H8O",
  "method": "wB97M-V/def2-TZVPD",
  "symbols": ["C", "C", "C", "C", "C", "O", "H", "H", "H", "H", "H", "H", "H", "H"],
  "positions_angstrom": [[0.314, 1.292, -0.701], [0.344, 0.033, 0.129], [0.444, -1.286, -0.585], [-0.972, -1.363, -0.121], [-0.460, 0.025, 1.476], [0.937, 0.182, 1.392], [-0.098, 2.133, -0.135], [1.340, 1.547, -0.988], [-0.278, 1.155, -1.611], [1.136, -1.992, -0.124], [0.656, -1.138, -1.647], [-1.569, -0.714, -0.791], [-0.768, -0.818, 2.079], [-1.028, 0.944, 1.626]],
  "mulliken_charge": [-1.257, 1.268, -0.620, -0.597, -0.658, -0.484, 0.362, 0.316, 0.314, 0.248, 0.303, 0.183, 0.353, 0.269],
  "e_lumo_ev": 0.940,
  "homo_lumo_gap_ev": 9.10,
  "homo_ev": -8.16,
  "energy_ha": -270.36155,
  "relative_energy_kj_mol": 515.5,
  "fmax_ev_per_a": 0.492
}


[3]
{
  "formula": "C21H19N9O",
  "method": "wB97M-V/def2-TZVPD",
  "symbols": ["C", "C", "C", "C", "C", "C", "C", "C", "N", "C", "N", "N", "C", "N", "C", "C", "N", "O", "C", "C", "C", "N", "N", "C", "C", "N", "C", "N", "C", "C", "C", "H", "H", "H", "H", "H", "H", "H", "H", "H", "H", "H", "H", "H", "H", "H", "H", "H", "H", "H"],
  "positions_angstrom": [[-2.037, -2.657, 0.224], [-0.788, -2.029, 0.957], [0.284, -1.433, 0.040], [1.357, -0.769, 0.599], [2.366, -0.291, -0.214], [2.326, -0.525, -1.604], [3.387, -0.056, -2.505], [3.236, -0.112, -3.877], [4.201, 0.311, -4.676], [5.308, 0.713, -4.097], [6.267, 1.176, -4.918], [5.623, 0.710, -2.810], [4.611, 0.367, -2.032], [1.318, -1.270, -2.160], [0.290, -1.666, -1.353], [-1.277, -0.887, 1.811], [-0.886, -0.679, 3.047], [-1.567, 0.498, 3.446], [-2.339, 0.890, 2.376], [-3.069, 2.172, 2.285], [-3.323, 3.133, 3.319], [-4.034, 4.153, 2.902], [-4.297, 3.889, 1.594], [-5.244, 4.761, 0.813], [-4.832, 4.909, -0.608], [-4.543, 4.967, -1.721], [-3.636, 2.706, 1.176], [-2.229, 0.042, 1.398], [-0.324, -3.228, 1.878], [1.134, -3.400, 2.339], [0.534, -4.338, 1.313], [-2.835, -2.882, 0.900], [-2.431, -1.967, -0.517], [-1.787, -3.603, -0.297], [1.460, -0.543, 1.657], [3.188, 0.217, 0.280], [2.305, -0.479, -4.293], [5.938, 1.343, -5.845], [6.779, 1.927, -4.480], [4.799, 0.515, -0.977], [-0.398, -2.338, -1.836], [-2.953, 2.984, 4.329], [-5.263, 5.751, 1.233], [-6.257, 4.347, 0.857], [-3.541, 2.326, 0.153], [-1.080, -3.551, 2.575], [1.865, -2.695, 2.036], [1.252, -3.780, 3.356], [0.859, -4.305, 0.249], [0.281, -5.327, 1.675]],
  "mulliken_charge": [-2.216, 2.784, -0.609, -0.621, -0.932, 0.741, 0.384, -0.384, -0.617, 0.494, -0.456, -0.669, -0.207, -0.590, -0.129, -0.318, -0.447, -0.287, 0.495, -0.157, -0.350, -0.919, 0.646, -0.337, 0.217, -0.357, -0.206, -0.502, -0.507, -0.653, -0.634, 0.535, 0.477, 0.401, 0.628, 0.182, 0.496, 0.258, 0.254, 0.359, 0.511, 0.519, 0.309, 0.280, 0.445, 0.634, 0.237, 0.279, 0.225, 0.311],
  "smiles": "C[C@@](c1ccc(-c2cnc(N)nc2)nc1)(c1noc(-c2cnn(CC#N)c2)n1)C1CC1",
  "e_lumo_ev": 0.296,
  "homo_lumo_gap_ev": 8.69,
  "homo_ev": -8.39,
  "energy_ha": -1379.60948,
  "relative_energy_kj_mol": 20.6,
  "fmax_ev_per_a": 2.389
}


[4]
{
  "formula": "C10H11N",
  "method": "wB97M-V/def2-TZVPD",